Effect of Vermiwash and Vermicompost on the Growth of Fenugreek (Trigonella Sp.)

Vermicomposting is a useful and completely environmentally friendly technology that changes biodegradable waste into nutrient rich organic matter. This technology can also be used for obtaining vermiwash, nutrient rich bio liquid. It is a liquid extract, which is both useful and environmentally friendly. Vermicompost enriches the soil with nutrients and beneficial microorganisms, while vermiwash can provide a nutrient boost directly to the plant. The present study was done to assess the effect of different concentration of vermiwash and vermicompost on growth of Fenugreek through vermiponics and pot method respectively. The 25% vermiwash showed increase in shoot length as compared to control whereas 50% of vermiwash was found to be phytotoxic to the growth of Fenugreek plant as compared to control.  Similar trend was observed in pot method using different concentrations of vermicompost. 25% vermicompost was found to increase the shoot length as compared to 50% and 75% vermicompost. Both vermicompost and vermiwash can be valuable addition to fenugreek cultivation. It is essential to use these products (vermiwash and vermicompost) in moderation i.e. 25% for maximizing the growth during cultivation.

### What comes next are molecular data, not part of the piece
~~~
The following is a quantum chemistry calculation of C29H56AsAuN4O5Si2Te as an isolated structure, from OMol25.

Summary:
Expectation value of S² = 2.010
Maximum force = 1.0 eV/A
E_tot = -4951.90353 Eh
LUMO (alpha / beta) = -5.08 / -8.03 eV
Relative energy (zero: lowest compared OMol25 entry of this formula, charge and spin) = 0.015 eV
HOMO (alpha / beta) = -13.97 / -13.97 eV
HOMO-LUMO gap (alpha / beta) = 8.89 / 5.94 eV

The geometry in ORCA input format:
```
! RIJCOSX wB97M-V def2-TZVPD def2/J DEFGRID3
* xyz 2 3
Au -1.033 0.788 -0.370
C -5.494 1.342 2.121
C -6.217 0.558 1.036
C -5.318 -0.475 0.322
C -6.134 -1.213 -0.764
C -5.351 -2.268 -1.526
C -4.877 -1.495 1.363
O -5.645 -2.118 2.037
N -3.494 -1.691 1.537
C -2.554 -0.975 0.889
O -1.327 -1.069 1.163
N -2.887 -0.105 -0.085
C -4.177 0.267 -0.361
O -4.390 1.176 -1.139
H -6.143 2.106 2.545
H -4.607 1.851 1.730
H -5.182 0.695 2.943
H -6.611 1.227 0.270
H -7.058 0.009 1.460
H -6.512 -0.448 -1.444
H -6.993 -1.660 -0.263
H -4.510 -1.833 -2.071
H -5.991 -2.762 -2.255
H -4.963 -3.041 -0.860
H -3.209 -2.313 2.282
C 4.657 3.751 4.573
C 3.496 2.782 4.424
N 3.886 1.513 3.810
C 4.777 0.631 4.579
C 6.184 0.582 4.007
C 3.390 1.033 2.668
O 3.597 -0.102 2.244
C 2.542 1.912 1.774
C 2.953 3.119 1.227
C 2.193 3.703 0.221
C 1.058 3.058 -0.224
N 0.658 1.898 0.309
C 1.374 1.343 1.291
H 4.316 4.671 5.046
H 5.095 4.003 3.606
H 5.446 3.334 5.198
H 2.696 3.225 3.833
H 3.066 2.555 5.403
H 4.334 -0.366 4.588
H 4.781 1.003 5.603
H 6.172 0.176 2.996
H 6.814 -0.060 4.621
H 6.637 1.573 3.981
H 3.868 3.589 1.564
H 2.492 4.636 -0.233
H 0.459 3.431 -1.043
H 1.025 0.394 1.679
C -1.503 4.667 -3.200
As -2.476 3.209 -2.430
C -3.681 2.602 -3.777
C -3.370 3.858 -0.863
O -1.298 2.031 -2.080
H -2.192 5.478 -3.433
H -1.021 4.324 -4.114
H -0.749 5.025 -2.501
H -4.237 3.464 -4.148
H -4.352 1.858 -3.363
H -3.083 2.181 -4.585
H -3.420 4.945 -0.913
H -2.795 3.557 0.013
H -4.366 3.426 -0.807
C 0.217 -4.730 -2.906
Si -0.370 -4.480 -1.152
C -2.107 -3.793 -1.116
C -0.178 -6.013 -0.120
C 0.729 -3.136 -0.349
Te 0.798 -1.343 -1.445
C 2.694 -0.715 -0.846
Si 4.101 -1.298 -2.034
C 3.974 -3.154 -2.191
C 3.801 -0.457 -3.672
C 5.667 -0.738 -1.204
H -0.419 -5.457 -3.413
H 1.236 -5.118 -2.935
H 0.185 -3.815 -3.505
H -2.791 -4.427 -1.682
H -2.168 -2.793 -1.557
H -2.482 -3.733 -0.094
H -0.823 -6.808 -0.495
H -0.441 -5.838 0.924
H 0.848 -6.382 -0.153
H 1.774 -3.438 -0.256
H 0.357 -2.839 0.635
H 2.859 -1.085 0.167
H 2.694 0.374 -0.829
H 3.010 -3.471 -2.599
H 4.122 -3.653 -1.231
H 4.737 -3.531 -2.873
H 2.798 -0.648 -4.062
H 4.504 -0.815 -4.425
H 3.932 0.624 -3.592
H 5.792 -1.220 -0.234
H 5.661 0.341 -1.043
H 6.537 -0.978 -1.816
*
```
~~~

Effectiveness of Android-Based Application (Nosting) for Early Detection of Stunting and Growth and Development Screening in Children Aged 12-24 Months

In general, data from height and weight measurements are manually entered into a growth chart, where this process takes time and can result in stunting cases being missed during the data entry process. Therefore, an early detection system was developed by utilizing the sophistication of Android which is currently widely used by the community. The purpose of this research is to build an innovative application for early detection of stunting and growth and development screening in children aged 12-24 months so that it can make it easier to monitor their growth and development based on Z-Score and KPSP. This research method is R&D. The research model used is ADDIE. This study used 43 respondents and 3 expert respondents. The sampling technique used purposive sampling. The results of the study based on the assessment of 3 experts get a value of 79.67% with a category worth using and based on a small scale trial on 43 respondents on the assessment of the effectiveness of the application getting a value of 89% so that it can be categorized as very effective. It can be concluded that the application of early detection of stunting and growth and development screening is feasible and very effective to use.

A Prospective Study of Future Jobs and Skills Considering the Requirements of Security Work Systems

Modern security work systems will depend on advanced methods of successful institutional performance through the availability of a set of basic requirements, the most important of which are forward-looking studies of the jobs and skills necessary for future security cadres in accordance with the requirements of security work. Therefore, the importance of the field of forward-looking studies based on data analysis based on reality and trends of future events has increased.

In light of this, the prospective study, as a scientific field, aims to anticipate the requirements of security work systems in terms of future jobs and skills necessary to keep pace with the continuous changes as a result of rapid technological developments and modern technologies, by enhancing lifelong learning programs for the national workforce and designing skills development programs to be proactive in acquiring future skills. The study relied on the forward-looking approach by applying future research tools using the (Mini Delphi) method to obtain correct and profound conclusions about future developments and scenarios in accordance with the requirements of security work systems with the aim of identifying future job skills, which depend entirely on technology, smart transformation, and automation of security services and systems.

Exploring the Characteristics and Population Trends of Pote Goats in the Lowland Region of Madura Island

This research aims to examine the productivity characteristics, structure, and dynamics of the Pote Goat population, a local Indonesian breed in Bangkalan Regency, Madura Island, East Java Province. The study was conducted on smallholder farms from September 2022 to January 2023. The study encompassed 139 respondents who participated as research subjects, contributing a total of 867 female and male Pote Goats of varying ages. To capture a comprehensive understanding, descriptive methods involving surveys and interviews were employed. The data collection process utilized the purposive sampling technique. The research findings indicate that the Pote Goat population consists of 65.17% females and 34.83% males. The adult male to female ratio is 1:12.20. The annual natality rate is 131.61% (70.78% females, 60.83% males). The kids mortality rate is 8.07% per year (5.77% females, 2.31% males). The mortality rate for goats of various ages is 9.34% (6.57% females, 2.77% males). The NI is 122.27% per year (64.20% females, 58.07% males). The migration rate is 37.37%, and the emigration rate is 12.34%. The average litter size ranges from 1.76±0.54 to 1.98±0.47 head per birth, increasing with the age of the doe. The types of births include twin births (73.48%), single births (14.70%), triplet births (10.39%), and quadruplet births (1.43%). The DPI values range from 30.14 to 33.91 kg per year, increasing with the age of the doe. The kids harvest rate is 291.15% per year.

[Inserted here: molecular data]
┌──
103
Properties=species:S:1:pos:R:3:forces:R:3:lowdin_charge:R:1 method="wB97M-V/def2-TZVPD" charge=+1
S 6.50024 0.07821 6.39156 -1.366 1.898 -2.450 0.68
S -5.76237 3.07018 0.27891 1.357 1.648 0.315 0.69
S 2.94542 -7.01815 4.31551 -1.148 -1.507 -0.028 0.68
S -0.82185 5.84545 -4.22348 1.118 -0.783 0.708 0.69
Mg -4.61426 -3.41074 -1.98951 1.522 0.915 0.777 1.26
O -1.19381 4.62215 -4.91719 0.020 1.658 0.759 -0.32
O 3.64234 3.02777 -6.59452 0.251 0.710 0.735 0.07
O -5.83347 4.75145 0.04747 1.055 -2.716 -1.136 -0.29
O -4.23937 -5.90870 -0.81155 -0.278 0.842 -0.557 -0.06
O 1.46504 -6.99420 4.33785 2.591 0.863 -0.412 -0.32
O -1.14910 -2.48817 -6.76745 0.201 -0.219 0.074 -0.05
O -2.82520 0.78905 -6.19456 -0.135 -0.425 0.176 -0.05
O -6.61245 -2.72806 -0.22068 0.629 -0.366 -0.867 -0.05
O 3.55230 -5.62498 4.95631 -0.790 -1.442 -0.293 -0.28
O 5.03483 3.23583 -4.79493 -0.643 -0.733 -1.059 0.16
O 5.90668 1.37677 6.74741 1.451 -2.698 -0.327 -0.29
O 6.05300 -1.15952 6.96950 0.062 0.580 -0.256 -0.29
O -4.87368 -1.13561 -3.43573 -0.101 -1.028 0.657 -0.06
O -2.78933 -4.62654 -4.16625 -0.642 0.268 0.496 -0.06
O -0.22841 5.30229 -2.75494 -2.284 -0.836 -3.182 -0.27
O -6.98971 2.53744 0.84552 0.699 0.517 -1.384 -0.31
O 3.48425 -8.24338 4.89924 0.165 1.834 -0.334 -0.32
O -2.53866 -2.94281 3.36513 -0.022 -0.016 0.243 -0.05
O -2.07714 -1.98451 -0.52383 0.134 -0.527 0.027 -0.29
O -5.09722 2.55717 -0.92887 -1.573 0.717 2.200 -0.32
O 6.31695 0.05480 4.68160 -0.721 0.853 3.712 -0.27
O 0.19820 6.73304 -4.78213 -2.110 -1.040 0.756 -0.29
O 3.65277 1.49648 -5.02968 -0.059 -0.394 1.989 0.08
C 5.12924 -1.31849 3.16988 -0.715 -0.071 -0.220 -0.07
C 2.63888 1.08080 -5.88775 0.263 -1.715 -0.853 -0.15
C -0.71904 -1.70780 -0.89759 -1.523 0.305 -1.195 -0.58
C -2.29542 6.77438 -3.57671 0.800 0.535 -0.075 -0.10
C 6.31753 -1.20110 4.07395 0.640 -0.803 -1.226 -0.35
C -6.26588 6.67547 1.24941 0.199 1.516 0.272 -0.07
C 3.37478 -6.11701 7.43793 -0.153 0.523 -0.874 -0.06
C 4.21532 2.62549 -5.42922 0.374 1.954 0.644 -0.56
C 2.96279 -5.20790 6.22454 0.414 -0.341 1.908 -0.23
C -4.62606 3.12463 1.72641 -0.753 -0.490 -1.814 -0.09
C 0.37826 -2.11730 0.06653 -0.266 -0.626 0.480 -0.07
C 1.06695 5.28039 -0.83209 -0.804 1.104 0.030 -0.05
C 2.67828 2.06704 -6.99027 0.592 0.345 -1.755 -0.14
C 3.64063 -6.91653 2.55774 -0.866 0.469 2.232 -0.07
C 0.68355 6.08938 -2.11029 1.884 0.277 2.500 -0.32
C -6.89652 5.54406 0.55724 -1.417 -2.346 0.653 -0.30
C -0.67239 -0.23912 -1.39461 -0.359 -0.437 0.240 -0.07
C 8.27654 0.12736 6.36546 -0.780 0.358 0.045 -0.11
H 0.19504 5.16788 -0.18772 -0.327 -0.319 -0.260 0.07
H 8.68819 -0.62202 5.68939 -0.312 -0.308 0.358 0.07
H -6.91254 7.44124 1.67783 -0.553 -0.203 -0.335 0.09
H -7.52184 -2.64780 -0.50843 -0.339 0.098 -0.193 0.06
H 1.60711 1.02357 -5.54092 0.414 -0.142 1.073 0.13
H 4.56227 -6.33464 2.56575 -0.219 0.030 0.054 0.06
H 3.84430 -7.95992 2.31701 -0.357 0.213 -0.193 0.06
H -2.87533 -5.27590 -4.86422 -0.116 -0.190 -0.226 0.05
└──
[Back to the entry]

Histopathologic Diagnosis of Diffuse Placental Chorangiosis in a Patient WHO Presented with Preeclampsia and Inevitable Abortion

Reported cases of chorangiosis in the literature are few and its etiopathogenesis is not still not completely understood [1]. However, most cases are caused by prolonged placental under-perfusion and chronic hypoxia [1]. Chorangiosis is also referred to as “extreme villous hyper-vascularity”; it is diagnosed by “the presence of more than 10 capillaries in more than 10 terminal chorionic villi in several areas of the placenta”, usually in three or more microscopic high power fields [1]. Cases of chorangiosis are reportedly seen in up to 5–7% of examined placentas from infants admitted to newborn intensive care units for various reasons, with an attendant increase in neonatal morbidity and mortality [1]. One of the well-documented causes of chorangiosis is Preeclampsia [1], which is a known cause of placental hypoxia and hypoperfusion as seen in this index case.

Development E-Assessment Literacy Oriented Higher Order Thinking Skills (HOTS) on Thematic Learning to Measure Critical Thinking Skills of Primary School Students

This research aims to develop E-Assessment Literacy Oriented Higher Order Thinking Skills (HOTS) which is expected to be able to measure students’ critical thinking skills. This research uses research methods according to ADDIE with five stages, namely Analisys, Design, Development, Implementation, Evaluation. The sampling technique used in this research is saturated sampling, the population of this study was class V students at SDN Berundung. The sample in this research was class V A students at SDN Berundung. The research results include the feasibility, practicality and effectiveness of the product. Product feasibility seen from the product validation results is classified as very valid, the language aspect shows an average of 0.800. The media aspect shows an average of 0.875. The test instrument was also validated by the validator as the research product showed an average of 0.650. The practicality of the product can be seen from the average percentage of educators’ responses of 90% with very practical interpretations, while student responses were 90% with very practical interpretations. The effectiveness of the product can be seen based on trial data carried out in class V of SDN Berundung. The research results prove that class V A is at stage post-test has the highest value of 90 and the lowest value of 80 with an average value of 84.58, and a standard deviation of 2.93. This shows that there is a significant influence on measuring critical thinking skills using E-Assessment literacy oriented HOTS.

Analysis of Stunting Incidents in Toddlers during the Covid-19 Pandemic at Community Health Centers Located in Banjarbaru, Indonesia

Based on data from the Banjarbaru City electronic Nutrition Reporting Recording application, the highest cases of stunting toddlers at the Landasan Ulin Community Health Center were 131 people (19.8%) while children aged 0-23 months who were stunted were 72 people (19.7%) which still did not reach the national target of 14%. The purpose of this study was to analyze the risk factors associated with stunting incidence in terms of age, sex, Early Breastfeeding Initiation and exclusive breastfeeding. This research at the Landasan Ulin Community Health Center in Banjarbaru City used a cross sectional design. The population of this study was children aged 0-23 months. Determination of samples using systematic random sampling with a total of 165 children. Data were analyzed using Chi-Square and multivariate assays using multiple logistic regression tests. Based on the results of the analysis, children aged 0-23 months exposed to stunting amounted to 19.4%. The results of the Chi-Square test showed three variables that had a significant relationship with the incidence of child stunting, Early Breastfeeding Initiation and exclusive breastfeeding. The results of multiple logistic regression tests show that the most dominant factor related to the incidence of stunting in children aged 0-23 months is Early Breastfeeding Initiation. It is expected that there will be a regular increase in health promotion to breastfeeding mothers, direct visits to homes and socialization of the early initiation of breastfeeding procedures to relevant officers and the community.

Integer Solutions to Sextic Equation with Five Unknowns xy(x+y)=4(z+R)w^5

This paper deals with the problem of finding non-zero distinct integer solutions to the non-homogeneous sextic equation with five  unknowns given by . xy(x+y)=4(z+R)w^5


The Role of Digital Marketing and New Students’ Trust to Opt for Darma Agung University

This research aims to discuss the influence of digital marketing and the new students’s trust in the decision to opt for Darma Agung University (UDA) both directly and indirectly. The target population is new students class of 2023, with a sample of 290 people taken randomly. The primary data analysis technique applies a structural equation model (SEM) with the lisrel application program supported. The SEM uses the weight least squares estimation method. Digital marketing has a stronger influence on trust than on decisions to opt for. Trust influences decisions to opt. Trust mediates the influence of digital marketing on decisions to choose, but it’s partial. The Darma Agung University’s leaders should pay attention to social media.

Gas Compressibility Factor Prediction Using Machining Learning Algorithmic Protocol for Niger – Delta Gas Reservoir

The gas compressibility factor also known as Z-factor plays an important role in obtaining thermodynamic properties of natural gas reservoir fluid property. Typically, empirical correlations and complex equation of state have been applied to determine this parameter in absence of laboratory measurements. However, high cost of running experimental measurement, poor performance and some limitations associated with these existing correlations have made the researchers to use intelligent models instead. Therefore, this study aimed at adopting support vector machine algorithm to forecast gas compressibility factor and to validate its performance with predictions from Artificial Neural network (ANN) and some existing correlations using statistical and performance plot analysis. A total of 519 data sets from Niger Delta was used in developing the model, out of it, 70 percent was used for training, 20 percent for testing and 10 percent for validation using MATLAB tool. From the statistical analysis result, it was observed that the new developed model did better than other existing methods with numerical value of 0.1997 rank, 0.0009 mean absolute error and 0.98 of coefficient of correlation using the test data. The cross plot of the support vector machine model gave the tightest cloud along 45o reference line. The residual (error) associated with the performance was impressive which was done to observe the distribution and the interval at which the error is minimal.